Miz Majesty gets Conned 2 M30/F25 Mdom NC superheroine peril

Miz Majesty descended to the rooftop to meet the convention organizers and facility managers. In a world where any superpowered being was treated as a celebrity, imitations were inevitable. Rather than waste time trying to establish credentials, as if there was some sort of driver’s licence category for godlike superbeing, she felt it best to arrive in such a fashion as to get all questions out of the way up front. Not to mention terrify the handsy little men who looked upon what little fabric of her armour was left after sufficient spatial compression to make it dense enough to survive her use, and got bad ideas.

She descended from heaven, like the goddess she was. She could have landed silently and without any fanfare, but that would accomplish nothing. Instead she allowed her body to glow with the brilliance of another sun in the sky, a golden aura around her white clad form as she descended like the sun given form. Settling onto the earth with the grace of a falling rose petal, her breasts heaved as she sighed at the usual rapture her arrival had caused in the audience of six men and a woman. She allowed the electromagnetic power of her eyes to bleed into static discharge as her hair raised in a halo. Her eyes leaked living lightning as she scanned the whole of the building at full power, looking for any traps or intentionally shielded areas.

Satisfied that the convention hall was just that, a convention hall in the middle of preparation for the largest science fiction and comic convention in North America, Wyvern Con, Miz Majesty stepped forward to greet her hosts, red half cape flapping behind as she prepared to begin her infiltration mission.

“Greetings. I am Miz Majestic. I have seen the same thing you have. Doctor Degrader has promised to appear in the convention with the intention of demonstrating his heroine breaking devices. As you know, several heroines have succumbed to him in the past. What you do not know is that those who were not permanently and organically superhuman did not survive the experience. Only I have the power to be unaffected by his devices. If merely mortal women like those that attend these conventions, were to be mistaken for the real heroines and submit to any of his torments thinking them nothing but convention cosplay games, the consequences would be both literally and legally catastrophic.”

The truth was they were all fine, the ones that broke retired as heroines and became sex professionals due to Doctor Degrader induced submissive nymphomania with a humiliation kink. It wasn’t magical or technical, it wasn’t forced. It was the effect of his having them long enough to train their body to break their own mind with pleasure. Those reward loops were something the broken chose to reenforce for themselves until there was no mind left at all. Some heroines recovered, some did not. Those whose bodies were artificially enhanced through magical or technical means just had bodies more powerful than the minds that rode them. This made them the Doctors rightful prey. Miz Majesty was different. Her mind was as superior as her body.

The woman in front pushed back the glasses that made her look more like Velma than many who cosplayed her gulped and pushed forward an “All Access” Wyverncon badge.

“Here Miz Majesty ma’am. With this you can go anywhere, skip any lineup, and if you push the tab on the back security will answer and accept any orders for information, evacuation or lockdown that you need to give. This convention is the most important one for our community, not just locally, but nationally. We can’t afford any costly legal issues, nor can we take any chances with our convention goers lives.”

Miz Majesty smiled. This was going to go so smoothly.

Doctor Degrader looked at his armour modifications. Some of the stuff the slash lit writers had suggested was too good not to include, even if some of it were totally unworkable.

The use of the sonic hyperwave inducers from his thunderpunch gauntlets as a vibrator was one that terrified him. I mean, he used those to shatter bank vaults and stone walls. The sonics in them were designed to allow him to punch someone like Miz Majesty and put her down. It flattened Savage Steel, put that metal skinned muscle head into the hospital for six weeks when he responded to a trap set for Miz Majestic. Sure the guy could bench press an Abrams tank, but he was no Miz Majestic. He even knocked her down with them.

Doctor Degrader smiled, growing hard remembering her on her knees before him. Then blanched remembering how she put an uppercut into his junk that put him in the hospital until Savage Steel got out. Yes, that much power in a vibrator could turn an woman’s insides into paste, rather than bring her to orgasm. He could make it work though, he would have to use the palm induction buffers to step the power down to something only twice as powerful as the top of the line commercial models, but with his tactical computer and biometrics to analyze responses and tailor pulse cycles and intensity to maximize victims pleasure. Honestly, he could set it on “terminal edge” and literally take a woman to the edge a thousand times, stopping just as she thought she was going to get over this time.

He would give a kidney to have the real Miz Majesty at his mercy like that, but lets face it, she would just crush his gauntlets if he tried, like she did every time.

Doctor Degrader snarled, remembering his “great idea” with the palm buffers synergistic loop power siphon/nerve induction. The idea was that when Miz Majesty grabbed his hands with hers. locking fingers together to test her god like strength against his best body armour, he could use her power to induce nerve pain in her hands so she would have to stop before pinning and binding him for arrest (again). Instead, it worked too well and she spasmed her hands into fists in surprise, with his hands in them. Six months it took in rehab before he could even jack off again, let alone type enough to program his computers for the next armour version.

Still, maybe he could rig them to siphon power from the target and use it to stimulate pleasure nerves? I mean he wouldn’t even have to adjust it. Young strong fit women would have more power, and get more stimulated. Less physically able women would get less bang for the buck, but he wouldn’t put a horny grandmother with a heart condition into cardiac arrest just with a little nipple play or a quick finger bang in either door. He was fully hard now, just thinking about it. I mean, Doctor Degrader loved shiny young innocent girls as much as the next guy, but watching a proud Congresswoman, CEO, or military officer screaming in pleasure and begging to serve him and his minions as sexual playthings was WHY he became a supervillain.

### Misplaced data records
+++
The following is a DFT calculation (PBE with a Hubbard U) of a relaxed structure of La2Mo2O7.

Lattice parameters (Å, degrees): 6.1034 12.3923 4.0069 90.00 90.00 90.00
Space group Pnnm (No. 58)
One atom of each set of equivalent atoms:
La 0.0950 0.1564 0.0000 (multiplicity 4)
Mo 0.1860 0.4483 0.0000 (multiplicity 4)
O 0.0000 0.0000 0.5000 (multiplicity 2)
O 0.1155 0.6174 0.0000 (multiplicity 4)
O 0.1497 0.7978 0.5000 (multiplicity 4)
O 0.2321 0.4570 0.5000 (multiplicity 4)

Results
Total energy in eV per atom: -7.765
Energy of formation from the pure elements in meV/atom: -2766
Mass density in g cm⁻³: 6.37

The following is a DFT calculation (PBE with a Hubbard U) of a relaxed structure of AlV2O4.

Lattice parameters (Å, degrees): 5.8396 5.8396 29.4668 90.00 90.00 120.00
Space group R-3m (No. 166, hexagonal axes)
One atom of each set of equivalent atoms:
Al 0.0000 0.0000 0.1839 (multiplicity 6)
Al 0.0000 0.0000 0.3073 (multiplicity 6)
V 0.0000 0.0000 0.0000 (multiplicity 3)
V 0.0000 0.0000 0.5000 (multiplicity 3)
V 0.0323 0.5162 0.2491 (multiplicity 18)
O 0.0000 0.0000 0.1222 (multiplicity 6)
O 0.0000 0.0000 0.3691 (multiplicity 6)
O 0.0013 0.5007 0.6208 (multiplicity 18)
O 0.0093 0.5046 0.8739 (multiplicity 18)

Results
Total energy in eV per atom: -7.720
Energy of formation from the pure elements in meV/atom: -2641
Energy above the most stable polymorph in this dataset in eV per atom: 0.1244
Mass density in g cm⁻³: 4.42

The following is a DFT calculation (PBE with a Hubbard U) of a relaxed structure of KGd2CuMo4O16.

Lattice parameters (Å, degrees): 5.3466 12.8441 19.7906 90.00 93.35 90.00
Space group C2/c (No. 15)
One atom of each set of equivalent atoms:
K 0.0000 0.0298 0.2500 (multiplicity 4)
Gd 0.0007 0.1471 0.4673 (multiplicity 8)
Cu 0.0000 0.3092 0.2500 (multiplicity 4)
Mo 0.0114 0.2577 0.6472 (multiplicity 8)
Mo 0.0149 0.4380 0.0916 (multiplicity 8)
O 0.1006 0.4070 0.3282 (multiplicity 8)
O 0.1219 0.1391 0.8278 (multiplicity 8)
O 0.1590 0.3323 0.0421 (multiplicity 8)
O 0.1765 0.2391 0.5671 (multiplicity 8)
O 0.2239 0.4534 0.6005 (multiplicity 8)
O 0.2345 0.2959 0.7134 (multiplicity 8)
O 0.2373 0.0201 0.5385 (multiplicity 8)
O 0.2484 0.3476 0.8689 (multiplicity 8)

Results
Total energy in eV per atom: -7.884
Energy of formation from the pure elements in meV/atom: -2380
Mass density in g cm⁻³: 5.17

The following is a DFT calculation (PBE with a Hubbard U) of a relaxed structure of Ba2MnP2F.

Lattice parameters (Å, degrees): 3.7776 3.7776 15.7170 90.00 90.00 90.00
Space group P4/mmm (No. 123)
One atom of each set of equivalent atoms:
Ba 0.0000 0.0000 0.1571 (multiplicity 2)
Mn 0.0000 0.0000 0.5000 (multiplicity 1)
P 0.0000 0.0000 0.3508 (multiplicity 2)
F 0.0000 0.0000 0.0000 (multiplicity 1)

Results
Total energy in eV per atom: -4.169
Energy of formation from the pure elements in meV/atom: -234
Mass density in g cm⁻³: 3.04

The following is a DFT calculation (PBE with a Hubbard U) of a relaxed structure of MnNi6O8.
+++

What was it that Hucow21 had asked for on the slash lit site again? Ah yes, a milking machine for Miz Majesty’s giant class jugs. Why not couple that with the pleasure siphon/induction his palms would have. He bet he could actually tune them to induce lactation if he let them cycle for a few minutes. I mean they would cycle the pleasure up to a point the particpants would have to have a safe button to press if it got too much, but some of these women would be brave enough to stand up to as it cycled high enough to be squirting from two nipples and slut hole both! Gods but he loved his community.

Honestly if he went legit he would be a legal billionaire. He did this because he loved breaking powerful women, giving them pleasure that broke their brains and left them begging to be used by him and anyone he designated. What man could turn that down for simple riches and fame? That was trash. Breaking powerful women was better than drugs, glory or riches. Miz Majesty was a living goddess, and if he can’t have her, at least he can spend a weekend in a convention filled with perverts just like himself who loved the sacred mystery of a goddess on her knees, a domina in chains, a queen covered in cum. Freaky geeks, nyppho nerds, men and women, young and old, all races, these were his people. Sure Miz Majesty thought he needed therapy, but she needed a good lay. At least the women he had his way with left satisfied.

He looked upon his epic device. It was going to be the centerpiece of his Wyvern Con After Dark Degradation Dungeon. It could hold four heroines, Miz Majesty in the center, three heroines bound, one to her left, one to her right, and one beneath her. She would be suspended for full access to front and back, both helpless and maximally displayed. He had put up a sign in sheet with time slots available and it was looking like he would have to limit the slots to half hour a piece as there was so much interest from the female and transfemmes in being bound either as Miz Majesty cosplayers, or as other heroines bound in character with her.

The males playing either heroes or villains all had their choices for targets. Miz Majesty, Batbrat, Night Panther, Amazing Amazon, and a dozen others. The times each were scheduled to be bound in the device would be posted so sign ups would match tormentor to target with maximum satisfaction for all. The women signing up were often proud professional feminists, intelligent and capable women whose very strength of mind allowed them to embrace their sexual needs to make their fantasy real for a night. They had courage Miz Majestic could never understand. They were sexual deviants, sure, but they lived their truth. They took the risk of public shame to be real and true, even if only for one night. He loved these people.

Society was fake, morality was a mask for greed and justification for control by a system more corrupt than he ever could be. He rejected it. Rejected false morality and the desire for wealth and status that was supposed to be the goal of power.

Money was fake, cum was real.

He was going to bring his people to a paradise of sexual bliss undreamed of by the gods themselves. Plus, there was a good chance he could get an autograph from Julie Newmar. Her Catgirl had changed his sexuality when he was in grade school

No, for once in his supervillain career, this was not about Miz Majesty. This was about geeks letting their freak flag fly, and a good time being had by all.

This was going to go so smoothly.

Source: reddit.com/r/eroticliterature/comments/zlrsmy/miz_majesty_gets_conned_2_m30f25_mdom_nc